Contents
1.
The following is a quantum chemistry calculation of the ion C5H11N2O with charge +1 at a distorted geometry, from the Open Molecules 2025 dataset.

Output
- E_HOMO: -14.1 eV
- Calculated total energy: -381.60702 hartree
- Relative energy (zero: lowest compared OMol25 entry of this formula, charge and spin): 35.73 kcal/mol
- Structure (SMILES): C/[NH+]=C1\OCCN1C
- Kohn-Sham gap: 11.19 eV
- Total charge: +1
- Largest force on an atom: 3.9 eV/A
- Multiplicity: 1

Each line ends with the Mulliken charge.
Element x y z (Å)
H: 1.022286 -2.308245 0.881008  0.304
C: 0.981465 -1.883719 -0.126076  -0.877
C: -0.351006 0.191733 0.099085  0.664
H: 1.473910 2.415662 -0.983260  0.284
C: 1.884146 0.478810 0.000529  -0.527
H: -3.304895 0.142330 -0.965154  0.272
C: -2.769588 0.192603 0.069220  -0.830
H: -3.441319 -0.325892 0.726165  0.352
H: 2.489018 0.398517 0.887105  0.302
H: 1.366994 2.415003 0.783213  0.310
N: -1.510414 -0.470184 0.216892  -0.185
C: 1.153902 1.816144 -0.046469  -0.336
N: 0.802443 -0.471439 0.078171  0.038
H: -1.579029 -1.483246 0.198395  0.254
H: -2.577175 1.231413 0.479083  0.293
H: 2.564787 0.173939 -0.837410  0.367
O: -0.210763 1.485392 -0.078556  -0.385
H: 0.089493 -2.158774 -0.726279  0.385
H: 1.915745 -1.840042 -0.655656  0.314

Cartesian forces (eV/Å) of the 6 atoms listed first:
H 0.18 -0.80 -0.55
C -1.07 1.13 0.52
C 0.49 -2.53 -0.53
H -0.99 -0.94 1.41
C 1.31 -0.77 -0.34
H 1.55 0.37 1.53

2.
The following is a quantum chemistry calculation of a cluster of 9 separate species, C37H37Cl6N7 in total at a distorted geometry, from the Open Molecules 2025 dataset.

Output
- E_HOMO: -9.5 eV
- Calculated total energy: -4576.43764 hartree
- Relative energy (zero: lowest compared OMol25 entry of this formula, charge and spin): 42.59 kcal/mol
- Structure (SMILES): ClC(Cl)Cl.ClC(Cl)Cl.c1ccncc1.c1ccncc1.c1ccncc1.c1ccncc1.c1ccncc1.c1ccncc1.c1ccncc1
- Kohn-Sham gap: 9.83 eV
- Total charge: 0
- Largest force on an atom: 3.2 eV/A
- Multiplicity: 1

Each line ends with the Mulliken charge.
Element x y z (Å)
C: -2.465556 -0.736813 -2.245669  -0.496
N: -0.307371 0.040526 0.317074  0.287
Cl: 4.130825 -6.606064 3.235924  -0.131
N: -3.412564 -1.600811 -2.706702  -0.498
C: -3.711076 2.192691 3.903881  0.123
N: -3.688309 -3.767895 5.663673  -0.590
H: 3.563554 4.968395 -3.366354  0.431
N: 6.069583 1.603377 1.037816  -0.595
C: 4.357929 -1.021265 -2.576291  -0.550
H: 2.075145 5.396885 -5.551300  0.434
C: -4.448002 -4.902073 5.618558  -0.163
C: 4.582308 0.701325 2.680753  -0.507
C: -1.107933 4.701313 -1.427269  -0.088
H: 0.731060 -0.882735 -1.207824  0.839
C: -1.146750 3.564036 0.706069  -0.366
H: 5.148605 -0.348481 -2.278659  0.562
H: 1.643518 -0.757598 -4.389161  0.485
H: 1.480984 -2.764408 0.327087  -0.416
H: -4.134615 -2.934868 2.396267  0.422
C: 5.044586 1.481085 0.102928  -0.496
Cl: -3.701177 0.430783 4.218344  -0.134
H: 2.905249 2.901031 -2.058815  0.417
Cl: 2.447167 -4.951199 1.621016  -0.081
C: 5.800166 1.257436 2.313048  -0.341
H: -3.359002 2.229472 -3.475109  0.459
H: -5.634940 -6.359312 4.538784  0.356
H: -0.022679 2.030838 -4.993438  0.480
H: -5.129345 0.720001 -4.479793  0.358
Cl: -2.055317 2.843134 3.834414  -0.111
C: 0.788192 2.630394 -4.606889  -0.657
H: -3.132120 -2.089085 4.510132  0.171
H: -4.189379 2.320210 2.932766  0.231
C: 2.354037 -1.169029 -3.687539  -0.213
C: 0.461068 -0.927251 -0.163066  -0.616
C: -2.404134 0.627439 -2.518176  0.134
C: -2.451044 4.862500 -1.353204  -0.615
C: -3.176486 4.302384 -0.264847  -0.216
C: 3.004394 -2.924642 -2.134030  -0.180
C: 0.462879 -1.901031 2.031817  -0.241
C: -0.719793 0.095419 1.595462  -0.635
H: -4.410405 -5.562827 6.472006  0.352
C: 1.462464 2.286709 -3.481057  0.190
C: 3.786353 0.922669 0.434680  0.074
C: -0.328030 -0.872966 2.510469  -0.675
C: 2.481430 3.095859 -3.032895  -0.213
H: 5.185609 1.862101 -0.897745  0.466
H: 2.682618 -0.054176 2.034510  0.347
N: 3.503454 -0.514290 -3.502177  -0.463
C: 4.178353 -2.229087 -1.884610  -0.421
C: 0.889299 -1.939429 0.695489  0.180

Assignment
Write out all of the notes above without additions, please.

Result
1.
The following is a quantum chemistry calculation of the ion C5H11N2O with charge +1 at a distorted geometry, from the Open Molecules 2025 dataset.

Output
- E_HOMO: -14.1 eV
- Calculated total energy: -381.60702 hartree
- Relative energy (zero: lowest compared OMol25 entry of this formula, charge and spin): 35.73 kcal/mol
- Structure (SMILES): C/[NH+]=C1\OCCN1C
- Kohn-Sham gap: 11.19 eV
- Total charge: +1
- Largest force on an atom: 3.9 eV/A
- Multiplicity: 1

Each line ends with the Mulliken charge.
Element x y z (Å)
H: 1.022286 -2.308245 0.881008  0.304
C: 0.981465 -1.883719 -0.126076  -0.877
C: -0.351006 0.191733 0.099085  0.664
H: 1.473910 2.415662 -0.983260  0.284
C: 1.884146 0.478810 0.000529  -0.527
H: -3.304895 0.142330 -0.965154  0.272
C: -2.769588 0.192603 0.069220  -0.830
H: -3.441319 -0.325892 0.726165  0.352
H: 2.489018 0.398517 0.887105  0.302
H: 1.366994 2.415003 0.783213  0.310
N: -1.510414 -0.470184 0.216892  -0.185
C: 1.153902 1.816144 -0.046469  -0.336
N: 0.802443 -0.471439 0.078171  0.038
H: -1.579029 -1.483246 0.198395  0.254
H: -2.577175 1.231413 0.479083  0.293
H: 2.564787 0.173939 -0.837410  0.367
O: -0.210763 1.485392 -0.078556  -0.385
H: 0.089493 -2.158774 -0.726279  0.385
H: 1.915745 -1.840042 -0.655656  0.314

Cartesian forces (eV/Å) of the 6 atoms listed first:
H 0.18 -0.80 -0.55
C -1.07 1.13 0.52
C 0.49 -2.53 -0.53
H -0.99 -0.94 1.41
C 1.31 -0.77 -0.34
H 1.55 0.37 1.53

2.
The following is a quantum chemistry calculation of a cluster of 9 separate species, C37H37Cl6N7 in total at a distorted geometry, from the Open Molecules 2025 dataset.

Output
- E_HOMO: -9.5 eV
- Calculated total energy: -4576.43764 hartree
- Relative energy (zero: lowest compared OMol25 entry of this formula, charge and spin): 42.59 kcal/mol
- Structure (SMILES): ClC(Cl)Cl.ClC(Cl)Cl.c1ccncc1.c1ccncc1.c1ccncc1.c1ccncc1.c1ccncc1.c1ccncc1.c1ccncc1
- Kohn-Sham gap: 9.83 eV
- Total charge: 0
- Largest force on an atom: 3.2 eV/A
- Multiplicity: 1

Each line ends with the Mulliken charge.
Element x y z (Å)
C: -2.465556 -0.736813 -2.245669  -0.496
N: -0.307371 0.040526 0.317074  0.287
Cl: 4.130825 -6.606064 3.235924  -0.131
N: -3.412564 -1.600811 -2.706702  -0.498
C: -3.711076 2.192691 3.903881  0.123
N: -3.688309 -3.767895 5.663673  -0.590
H: 3.563554 4.968395 -3.366354  0.431
N: 6.069583 1.603377 1.037816  -0.595
C: 4.357929 -1.021265 -2.576291  -0.550
H: 2.075145 5.396885 -5.551300  0.434
C: -4.448002 -4.902073 5.618558  -0.163
C: 4.582308 0.701325 2.680753  -0.507
C: -1.107933 4.701313 -1.427269  -0.088
H: 0.731060 -0.882735 -1.207824  0.839
C: -1.146750 3.564036 0.706069  -0.366
H: 5.148605 -0.348481 -2.278659  0.562
H: 1.643518 -0.757598 -4.389161  0.485
H: 1.480984 -2.764408 0.327087  -0.416
H: -4.134615 -2.934868 2.396267  0.422
C: 5.044586 1.481085 0.102928  -0.496
Cl: -3.701177 0.430783 4.218344  -0.134
H: 2.905249 2.901031 -2.058815  0.417
Cl: 2.447167 -4.951199 1.621016  -0.081
C: 5.800166 1.257436 2.313048  -0.341
H: -3.359002 2.229472 -3.475109  0.459
H: -5.634940 -6.359312 4.538784  0.356
H: -0.022679 2.030838 -4.993438  0.480
H: -5.129345 0.720001 -4.479793  0.358
Cl: -2.055317 2.843134 3.834414  -0.111
C: 0.788192 2.630394 -4.606889  -0.657
H: -3.132120 -2.089085 4.510132  0.171
H: -4.189379 2.320210 2.932766  0.231
C: 2.354037 -1.169029 -3.687539  -0.213
C: 0.461068 -0.927251 -0.163066  -0.616
C: -2.404134 0.627439 -2.518176  0.134
C: -2.451044 4.862500 -1.353204  -0.615
C: -3.176486 4.302384 -0.264847  -0.216
C: 3.004394 -2.924642 -2.134030  -0.180
C: 0.462879 -1.901031 2.031817  -0.241
C: -0.719793 0.095419 1.595462  -0.635
H: -4.410405 -5.562827 6.472006  0.352
C: 1.462464 2.286709 -3.481057  0.190
C: 3.786353 0.922669 0.434680  0.074
C: -0.328030 -0.872966 2.510469  -0.675
C: 2.481430 3.095859 -3.032895  -0.213
H: 5.185609 1.862101 -0.897745  0.466
H: 2.682618 -0.054176 2.034510  0.347
N: 3.503454 -0.514290 -3.502177  -0.463
C: 4.178353 -2.229087 -1.884610  -0.421
C: 0.889299 -1.939429 0.695489  0.180